The Swedish government will provide a total of 3.4 million euros (230.6 million meticals) to finance renewable energy projects in Mozambique, as part of the 6th edition of the Beyond the Grid Fund for Africa (BGFA), an initiative that will be launched in the first half of July.

According to information shared with Diário Económico, this edition will favour projects that provide solutions for the productive use of energy, from solar-powered irrigation systems, refrigeration units for food preservation, electric fishing boats, agricultural processing equipment and e-mobility alternatives, such as electric bicycles and scooters.

(Someone pasted materials data at this point)
____________
Computed, not measured: crystalline Ce2PuHfSb4 at its relaxed geometry at the PBE level of DFT.

The structure belongs to space group P2/m (No. 10); the cell edges are 7.550, 4.371 and 7.600 Å and the angles 90.00°, 109.30° and 90.00°. The distinct sites, in fractional coordinates, are Ce at (0.000, 0.000, 0.000), Ce at (0.000, 0.500, 0.500), Pu at (0.500, 0.000, 0.500), Hf at (0.500, 0.500, 0.000), Sb at (0.262, 0.500, 0.243) and Sb at (0.269, 0.000, 0.767).

As for the density of states at the Fermi level: 2.80 states/eV/atom. The value obtained for the total magnetic moment is 7.13 μB per formula unit. Its energy relative to the elements, uncorrected is -0.78 eV per atom.

----------

*i*
# LiCe2F6

A relaxed LiCe2F6 crystal (PBE, Alexandria).

Results
The volume comes out at 127.9 Å³/f.u. Its density is 5.21 Mg/m³.

Geometry as CIF:
```
data_LiCe2F6
_chemical_formula_sum 'Li2 Ce4 F12'
_cell_length_a 5.1884
_cell_length_b 6.6912
_cell_length_c 8.7326
_cell_angle_alpha 90.00
_cell_angle_beta 122.49
_cell_angle_gamma 90.00
_symmetry_space_group_name_H-M 'P 1 21/c 1'
_symmetry_Int_Tables_number 14
loop_
_symmetry_equiv_pos_as_xyz
'x,y,z'
'-x,-y,-z'
'-x,y+1/2,-z+1/2'
'x,-y+1/2,z+1/2'
loop_
_atom_site_label
_atom_site_type_symbol
_atom_site_fract_x
_atom_site_fract_y
_atom_site_fract_z
Li1 Li 0.0000 0.0000 0.0000
Ce1 Ce 0.2748 0.1081 0.7302
F1 F 0.1377 0.0464 0.2555
F2 F 0.2176 0.7199 0.0683
F3 F 0.3661 0.1446 0.0462
```

=====

*ii*
# LiCe2F6

A relaxed LiCe2F6 crystal (PBE, Alexandria).

Results
The volume comes out at 136.1 Å³/f.u. Its density is 4.89 Mg/m³.

Geometry as CIF:
```
data_LiCe2F6
_chemical_formula_sum 'Li2 Ce4 F12'
_cell_length_a 3.9205
_cell_length_b 5.7346
_cell_length_c 12.1111
_cell_angle_alpha 90.00
_cell_angle_beta 90.00
_cell_angle_gamma 90.00
_symmetry_space_group_name_H-M 'I m m m'
_symmetry_Int_Tables_number 71
_symmetry_space_group_name_Hall '-I 2 2'
loop_
_atom_site_label
_atom_site_type_symbol
_atom_site_fract_x
_atom_site_fract_y
_atom_site_fract_z
Li1 Li 0.0000 0.0000 0.0000
Ce1 Ce 0.0000 0.0000 0.3491
F1 F 0.0000 0.2428 0.1724
F2 F 0.0000 0.2719 0.5000
```

=====

Stability, highest: *i*

=====

*i*
# LiCe2F8

A relaxed LiCe2F8 crystal (PBE, Alexandria).

Results
The volume comes out at 170.6 Å³/f.u. Its density is 4.28 Mg/m³.

Geometry as CIF:
```
data_LiCe2F8
_chemical_formula_sum 'Li2 Ce4 F16'
_cell_length_a 7.2150
_cell_length_b 10.8122
_cell_length_c 4.4565
_cell_angle_alpha 90.00
_cell_angle_beta 101.12
_cell_angle_gamma 90.00
_symmetry_space_group_name_H-M 'C 1 2/m 1'
_symmetry_Int_Tables_number 12
loop_
_symmetry_equiv_pos_as_xyz
'x,y,z'
'-x,-y,-z'
'-x,y,-z'
'x,-y,z'
'x+1/2,y+1/2,z'
'-x+1/2,-y+1/2,-z'
'-x+1/2,y+1/2,-z'
'x+1/2,-y+1/2,z'
loop_
_atom_site_label
_atom_site_type_symbol
_atom_site_fract_x
_atom_site_fract_y
_atom_site_fract_z
Li1 Li 0.0000 0.0000 0.0000
Ce1 Ce 0.0000 0.3239 0.0000
F1 F 0.0000 0.2685 0.5000
F2 F 0.1020 0.5000 0.2704
F3 F 0.1857 0.1389 0.0516
```

=====

*ii*
# LiCe2F8
____________

The money will be administered by the Nordic Environment Finance Corporation (Nefco) and interested parties will be able to access the programme through a simplified, single-stage application process, which will make it easier for all for-profit energy service providers to participate.

Tina Moller, Programme Manager at Nefco and BGFA Coordinator, explained that the funding will be structured to support the expansion of renewable energy solutions, through a results-based model in which payments are linked to the achievement of predefined targets and may include an advance of up to 30%.
“For-profit energy service providers with a proven track record in implementing clean energy solutions, especially those already operating in Mozambique or other parts of sub-Saharan Africa, will be eligible to apply for the 6th edition of the BGFA,” he added.

“Companies must demonstrate potential for scalability and impact, ensuring that their solutions can generate significant socio-economic benefits. To promote this opportunity, the BGFA, in partnership with the Mozambican Renewable Energy Association (AMER), will organise a hybrid event on 30 July to provide potential applicants with a detailed overview of the application process, eligibility criteria and benefits,” he said.

“For-profit energy service providers with a proven track record in implementing clean energy solutions, especially those already operating in Mozambique or other parts of sub-Saharan Africa, will be eligible to apply for the 6th edition of the BGFA.”

• Calculated crystals, kept here for reference:
<<<
Record 1
Computed, not measured: a geometry-optimized Pr2GePdO6 structure at the PBEsol level of DFT.

The structure in POSCAR format:
```
Pr2GePdO6
1.0
5.097 0.000 0.041
0.000 5.272 0.000
-2.040 -2.636 4.676
O Ge Pr Pd
6 1 2 1
Cartesian
3.878 3.957 0.744
-0.821 1.321 3.973
0.674 2.636 1.744
2.383 0.000 2.973
3.878 1.315 0.744
-0.821 -1.321 3.973
0.000 2.636 0.000
2.897 2.636 2.500
0.160 0.000 2.217
2.548 0.000 0.020
```

Output
The uncorrected formation energy comes out at -2.31 eV/atom.

---

Record 2
Computed, not measured: a geometry-optimized LaCo2Au structure at the PBEsol level of DFT.

The structure in POSCAR format:
```
LaCo2Au
1.0
3.391 0.000 0.000
0.000 3.290 0.000
0.000 0.000 6.223
Au La Co
1 1 2
Cartesian
1.696 1.645 0.000
1.696 1.645 3.111
0.000 0.000 5.057
0.000 0.000 1.166
```

Output
The value obtained for the formation energy is 0.236 eV per atom.

---

Record 3
Computed, not measured: a geometry-optimized ZnAg2Au structure at the PBEsol level of DFT.

The structure in POSCAR format:
```
ZnAg2Au
1.0
-3.698 0.684 -1.493
-1.255 -3.551 1.481
1.457 3.182 3.334
Au Ag Zn
1 2 1
Cartesian
-2.476 -1.433 -0.006
-2.359 1.216 0.917
0.000 0.000 0.000
-1.137 -0.901 2.404
```

Output
The value obtained for the formation energy is -0.100 eV per atom.

---

Record 4
Computed, not measured: a geometry-optimized LaHg2P2 structure at the PBEsol level of DFT.

The structure in POSCAR format:
```
LaHg2P2
1.0
-2.095 3.634 2.446
-4.224 -0.957 -2.196
2.039 -4.306 3.324
Hg P La
2 2 1
Cartesian
-0.802 -2.124 2.469
-3.478 0.495 1.105
-1.608 0.333 2.948
-2.672 -1.963 0.627
0.000 0.000 0.000
```

Output
The value obtained for the formation energy is -0.298 eV per atom.

---

Record 5
Computed, not measured: a geometry-optimized ZnIrOs2 structure at the PBEsol level of DFT.

The structure in POSCAR format:
```
ZnIrOs2
1.0
3.795 0.000 0.000
0.000 3.795 0.000
-1.897 -1.897 3.840
Os Ir Zn
2 1 1
Cartesian
1.897 0.000 1.920
0.000 0.000 0.000
0.000 1.897 1.920
1.897 1.897 0.000
```

Output
The value obtained for the formation energy is 0.247 eV per atom.

---

Record 6
Computed, not measured: a geometry-optimized Na3LaZn structure at the PBEsol level of DFT.

The structure in POSCAR format:
```
Na3LaZn
1.0
-4.590 0.410 -2.878
2.696 -1.414 -4.501
-1.089 -5.231 0.991
Zn Na La
1 3 1
Cartesian
0.000 0.000 0.000
1.348 -0.707 -2.250
-2.295 0.205 -1.439
-0.544 -2.615 0.496
-1.492 -3.117 -3.194
```

Output
The value obtained for the formation energy is 0.462 eV per atom.

---

Record 7
Computed, not measured: a geometry-optimized K2MnHg structure at the PBEsol level of DFT.

The structure in POSCAR format:
```
K2MnHg
1.0
3.605 0.000 0.000
1.802 3.122 0.000
1.802 1.041 11.540
Mn K Hg
1 2 1
Cartesian
3.605 2.081 5.770
5.407 3.122 8.713
1.802 1.041 2.828
0.000 0.000 0.000
```

Output
The value obtained for the formation energy is 0.700 eV per atom.

---

Record 8
Computed, not measured: a geometry-optimized Ba3MoN3 structure at the PBEsol level of DFT.
>>>

According to Tina Möller, the launch of the call for funding is a significant milestone in the collective journey towards sustainable energy solutions in the country. “By harnessing the power of renewables, we can unlock new economic opportunities, increase productivity and improve the quality of life for countless Mozambicans.”

What is the Nordic Environment Finance Corporation (Nefco)?
The Nordic Environment Finance Corporation (NEFCO) was set up by the Nordic governments in 1990 to support the Nordic countries’ efforts to raise environmental awareness in Central and Eastern Europe by financing projects that would reduce environmentally damaging emissions. NEFCO has participated in the development of innovative financing instruments designed to improve the environment and combat climate change.

It usually works in close partnership with its private and public investors. One of the applicant’s current priorities is to promote green growth and further prevent climate change by focussing on interventions related to renewable energy, energy efficiency and the reduction of short-lived climate pollutants, having a positive effect on adaptation and mitigation.

What is the Beyond the Grid Fund for Africa (BGFA)?

The BGFA was set up at the initiative of the Government of Sweden with the aim of incentivising the private sector to provide sustainable, affordable, clean and high-quality energy services to people in need in off-grid rural areas.